### Request
Please duplicate all of the data further down without additions.
### Listing
____________
Starting from DFT lattice parameters and positions (GGA-PBE), the XRD peak list of Zn7Ir2Au2 was calculated for Cu Kα (weighted mean of Kα1 and Kα2).

Top 8 peaks for 2θ = 10–90°, low angle first:
d = 3.389 Å, intensity 100; d = 3.302 Å, intensity 89; d = 2.402 Å, intensity 37; d = 2.123 Å, intensity 44; d = 2.117 Å, intensity 43; d = 1.958 Å, intensity 35; d = 1.936 Å, intensity 45; d = 1.753 Å, intensity 58

Atomic structure:
Lattice parameters (Å, degrees): 7.835 7.570 6.759 90.00 90.23 90.00
Space group C2/m (No. 12)
Inequivalent atoms, fractional coordinates:
Zn 0.000 0.000 0.000 (multiplicity 2)
Zn 0.001 0.500 0.315 (multiplicity 4)
Zn 0.249 0.249 0.233 (multiplicity 8)
Ir 0.177 0.500 0.000 (multiplicity 4)
Au 0.000 0.184 0.500 (multiplicity 4)


Starting from DFT lattice parameters and positions (GGA-PBE), the XRD peak list of Zn7IrAu3 was calculated for Cu Kα (weighted mean of Kα1 and Kα2).

Top 8 peaks for 2θ = 10–90°, low angle first:
d = 3.662 Å, intensity 57; d = 2.293 Å, intensity 100; d = 2.224 Å, intensity 86; d = 2.103 Å, intensity 53; d = 2.070 Å, intensity 39; d = 2.035 Å, intensity 43; d = 1.945 Å, intensity 28; d = 1.204 Å, intensity 24

Atomic structure:
Lattice parameters (Å, degrees): 2.864 21.692 11.671 90.00 90.00 90.00
Space group Cmcm (No. 63)
Inequivalent atoms, fractional coordinates:
Zn 0.000 0.046 0.129 (multiplicity 8)
Zn 0.000 0.086 0.599 (multiplicity 8)
Zn 0.000 0.195 0.250 (multiplicity 4)
Zn 0.000 0.226 0.586 (multiplicity 8)
Ir 0.000 0.472 0.250 (multiplicity 4)
Au 0.000 0.332 0.250 (multiplicity 4)
Au 0.000 0.353 0.568 (multiplicity 8)


Starting from DFT lattice parameters and positions (GGA-PBE), the XRD peak list of ZrIrAu2 was calculated for Cu Kα (weighted mean of Kα1 and Kα2).

Top 8 peaks for 2θ = 10–90°, low angle first:
d = 2.378 Å, intensity 100; d = 2.224 Å, intensity 20; d = 1.989 Å, intensity 29; d = 1.483 Å, intensity 23; d = 1.407 Å, intensity 10; d = 1.312 Å, intensity 15; d = 1.211 Å, intensity 24; d = 1.189 Å, intensity 12

Atomic structure:
Lattice parameters (Å, degrees): 3.978 3.978 8.896 90.00 90.00 90.00
Space group I4/mmm (No. 139)
Inequivalent atoms, fractional coordinates:
Zr 0.000 0.000 0.000 (multiplicity 2)
Ir 0.000 0.000 0.500 (multiplicity 2)
Au 0.000 0.500 0.250 (multiplicity 4)


Starting from DFT lattice parameters and positions (GGA-PBE), the XRD peak list of K6Au was calculated for Cu Kα (weighted mean of Kα1 and Kα2).

Top 8 peaks for 2θ = 10–90°, low angle first:
d = 7.135 Å, intensity 42; d = 6.984 Å, intensity 80; d = 6.735 Å, intensity 100; d = 6.355 Å, intensity 68; d = 3.570 Å, intensity 68; d = 3.168 Å, intensity 69; d = 2.444 Å, intensity 38; d = 2.327 Å, intensity 56

Atomic structure:
Lattice parameters (Å, degrees): 15.373 13.974 8.055 90.00 90.00 90.00
Space group Pnma (No. 62)
Inequivalent atoms, fractional coordinates:
K 0.002 0.083 0.248 (multiplicity 8)
K 0.004 0.250 0.745 (multiplicity 4)
K 0.247 0.750 0.914 (multiplicity 4)
K 0.248 0.583 0.414 (multiplicity 8)
Au 0.127 0.250 0.082 (multiplicity 4)


Starting from DFT lattice parameters and positions (GGA-PBE), the XRD peak list of KAu was calculated for Cu Kα (weighted mean of Kα1 and Kα2).

Top 8 peaks for 2θ = 10–90°, low angle first:
d = 5.831 Å, intensity 91; d = 4.316 Å, intensity 100; d = 3.116 Å, intensity 57; d = 2.650 Å, intensity 49; d = 2.499 Å, intensity 38; d = 2.486 Å, intensity 88; d = 2.226 Å, intensity 58; d = 1.818 Å, intensity 33

Atomic structure:
Lattice parameters (Å, degrees): 11.662 4.998 8.625 90.00 132.47 90.00
Space group Cm (No. 8)
Inequivalent atoms, fractional coordinates:
K 0.000 0.000 0.000 (multiplicity 2)
K 0.061 0.500 0.697 (multiplicity 2)
K 0.197 0.500 0.394 (multiplicity 2)
Au 0.254 0.000 0.697 (multiplicity 2)
Au 0.324 0.000 0.088 (multiplicity 2)
Au 0.434 0.500 0.307 (multiplicity 2)


Starting from DFT lattice parameters and positions (GGA-PBE), the XRD peak list of K6Au5 was calculated for Cu Kα (weighted mean of Kα1 and Kα2).
____________
### Outcome
Starting from DFT lattice parameters and positions (GGA-PBE), the XRD peak list of Zn7Ir2Au2 was calculated for Cu Kα (weighted mean of Kα1 and Kα2).

Top 8 peaks for 2θ = 10–90°, low angle first:
d = 3.389 Å, intensity 100; d = 3.302 Å, intensity 89; d = 2.402 Å, intensity 37; d = 2.123 Å, intensity 44; d = 2.117 Å, intensity 43; d = 1.958 Å, intensity 35; d = 1.936 Å, intensity 45; d = 1.753 Å, intensity 58

Atomic structure:
Lattice parameters (Å, degrees): 7.835 7.570 6.759 90.00 90.23 90.00
Space group C2/m (No. 12)
Inequivalent atoms, fractional coordinates:
Zn 0.000 0.000 0.000 (multiplicity 2)
Zn 0.001 0.500 0.315 (multiplicity 4)
Zn 0.249 0.249 0.233 (multiplicity 8)
Ir 0.177 0.500 0.000 (multiplicity 4)
Au 0.000 0.184 0.500 (multiplicity 4)


Starting from DFT lattice parameters and positions (GGA-PBE), the XRD peak list of Zn7IrAu3 was calculated for Cu Kα (weighted mean of Kα1 and Kα2).

Top 8 peaks for 2θ = 10–90°, low angle first:
d = 3.662 Å, intensity 57; d = 2.293 Å, intensity 100; d = 2.224 Å, intensity 86; d = 2.103 Å, intensity 53; d = 2.070 Å, intensity 39; d = 2.035 Å, intensity 43; d = 1.945 Å, intensity 28; d = 1.204 Å, intensity 24

Atomic structure:
Lattice parameters (Å, degrees): 2.864 21.692 11.671 90.00 90.00 90.00
Space group Cmcm (No. 63)
Inequivalent atoms, fractional coordinates:
Zn 0.000 0.046 0.129 (multiplicity 8)
Zn 0.000 0.086 0.599 (multiplicity 8)
Zn 0.000 0.195 0.250 (multiplicity 4)
Zn 0.000 0.226 0.586 (multiplicity 8)
Ir 0.000 0.472 0.250 (multiplicity 4)
Au 0.000 0.332 0.250 (multiplicity 4)
Au 0.000 0.353 0.568 (multiplicity 8)


Starting from DFT lattice parameters and positions (GGA-PBE), the XRD peak list of ZrIrAu2 was calculated for Cu Kα (weighted mean of Kα1 and Kα2).

Top 8 peaks for 2θ = 10–90°, low angle first:
d = 2.378 Å, intensity 100; d = 2.224 Å, intensity 20; d = 1.989 Å, intensity 29; d = 1.483 Å, intensity 23; d = 1.407 Å, intensity 10; d = 1.312 Å, intensity 15; d = 1.211 Å, intensity 24; d = 1.189 Å, intensity 12

Atomic structure:
Lattice parameters (Å, degrees): 3.978 3.978 8.896 90.00 90.00 90.00
Space group I4/mmm (No. 139)
Inequivalent atoms, fractional coordinates:
Zr 0.000 0.000 0.000 (multiplicity 2)
Ir 0.000 0.000 0.500 (multiplicity 2)
Au 0.000 0.500 0.250 (multiplicity 4)


Starting from DFT lattice parameters and positions (GGA-PBE), the XRD peak list of K6Au was calculated for Cu Kα (weighted mean of Kα1 and Kα2).

Top 8 peaks for 2θ = 10–90°, low angle first:
d = 7.135 Å, intensity 42; d = 6.984 Å, intensity 80; d = 6.735 Å, intensity 100; d = 6.355 Å, intensity 68; d = 3.570 Å, intensity 68; d = 3.168 Å, intensity 69; d = 2.444 Å, intensity 38; d = 2.327 Å, intensity 56

Atomic structure:
Lattice parameters (Å, degrees): 15.373 13.974 8.055 90.00 90.00 90.00
Space group Pnma (No. 62)
Inequivalent atoms, fractional coordinates:
K 0.002 0.083 0.248 (multiplicity 8)
K 0.004 0.250 0.745 (multiplicity 4)
K 0.247 0.750 0.914 (multiplicity 4)
K 0.248 0.583 0.414 (multiplicity 8)
Au 0.127 0.250 0.082 (multiplicity 4)


Starting from DFT lattice parameters and positions (GGA-PBE), the XRD peak list of KAu was calculated for Cu Kα (weighted mean of Kα1 and Kα2).

Top 8 peaks for 2θ = 10–90°, low angle first:
d = 5.831 Å, intensity 91; d = 4.316 Å, intensity 100; d = 3.116 Å, intensity 57; d = 2.650 Å, intensity 49; d = 2.499 Å, intensity 38; d = 2.486 Å, intensity 88; d = 2.226 Å, intensity 58; d = 1.818 Å, intensity 33

Atomic structure:
Lattice parameters (Å, degrees): 11.662 4.998 8.625 90.00 132.47 90.00
Space group Cm (No. 8)
Inequivalent atoms, fractional coordinates:
K 0.000 0.000 0.000 (multiplicity 2)
K 0.061 0.500 0.697 (multiplicity 2)
K 0.197 0.500 0.394 (multiplicity 2)
Au 0.254 0.000 0.697 (multiplicity 2)
Au 0.324 0.000 0.088 (multiplicity 2)
Au 0.434 0.500 0.307 (multiplicity 2)


Starting from DFT lattice parameters and positions (GGA-PBE), the XRD peak list of K6Au5 was calculated for Cu Kα (weighted mean of Kα1 and Kα2).